November Already!
What comes next are quantum chemistry results, not part of the page >
+++
No. 1
Molecular formula: C23H27BClI2N10O2W
Method: DFT, the ωB97M-V functional and the def2-TZVPD basis

Its spin multiplicity is 2. As for the largest force on an atom: 0.20 eV Å⁻¹. The charge is +2. As for the frontier orbital gap (alpha / beta): 5.72 / 6.05 eV. The value obtained for the molar mass is 959.45 g/mol. Its highest occupied orbital energy (alpha / beta) is -0.51523 / -0.51524 Ha. For the total energy, the calculation gives -2737.7587 Eh.

XYZ file:
```
67
Properties=species:S:1:pos:R:3:forces:R:3:nbo_charge:R:1
W 0.627 -0.601 -0.572 0.142 0.138 -0.002 1.681
C -1.369 -3.261 1.276 0.005 -0.004 0.003 -0.657
C -1.254 -1.862 1.777 0.001 -0.001 0.005 0.239
C -1.963 -1.361 2.858 -0.003 -0.004 -0.004 -0.314
C -1.568 -0.045 2.993 0.001 0.010 -0.007 0.071
N -0.664 0.221 2.053 0.007 -0.004 0.011 -0.330
N -0.442 -0.885 1.294 -0.020 0.014 -0.005 -0.392
B 0.069 1.556 1.808 -0.006 -0.011 -0.004 0.915
N 1.564 1.200 1.735 -0.006 -0.007 0.009 -0.336
C 2.592 1.750 2.380 -0.002 0.008 -0.011 0.064
C 3.732 1.035 2.086 -0.002 -0.005 0.000 -0.322
C 3.341 0.042 1.201 0.005 0.005 0.004 0.261
C 4.287 -0.962 0.637 -0.003 -0.001 0.000 -0.667
N 2.004 0.148 0.975 0.019 -0.008 -0.003 -0.394
N -0.325 2.081 0.390 0.022 0.009 0.008 -0.308
C -0.728 3.276 -0.011 -0.006 -0.012 0.006 0.125
C -0.703 3.329 -1.403 -0.005 -0.003 0.001 -0.304
C -0.252 2.105 -1.827 -0.010 0.012 -0.005 0.247
C -0.070 1.670 -3.237 0.004 -0.004 -0.001 -0.664
N -0.012 1.320 -0.718 -0.009 -0.006 0.005 -0.405
N -0.241 2.511 2.910 0.039 0.046 -0.010 -0.424
C 0.136 2.414 4.221 -0.034 -0.034 0.009 -0.042
C -0.674 3.230 4.953 0.007 0.003 -0.001 -0.315
C -1.567 3.803 4.011 -0.003 0.002 -0.003 0.181
C -2.668 4.776 4.263 -0.002 -0.002 -0.001 -0.647
N -1.312 3.355 2.798 -0.014 -0.021 0.010 -0.317
H -2.310 -3.677 1.628 0.002 0.000 0.003 0.260
H -1.354 -3.337 0.193 0.000 -0.004 0.003 0.228
H -0.572 -3.882 1.688 0.005 -0.001 0.000 0.224
H -2.678 -1.895 3.458 0.001 0.000 0.000 0.260
H -1.874 0.719 3.689 -0.001 -0.001 0.002 0.261
H 2.447 2.616 3.003 0.003 0.000 -0.002 0.258
H 4.728 1.206 2.457 -0.001 0.000 0.002 0.262
H 4.908 -1.343 1.447 0.001 -0.001 -0.001 0.253
H 3.800 -1.797 0.149 -0.006 -0.003 0.000 0.214
H 4.943 -0.486 -0.092 0.002 -0.001 0.002 0.261
H -1.020 4.004 0.728 0.003 0.005 -0.005 0.292
H -0.981 4.162 -2.025 0.000 0.001 0.001 0.265
H -0.158 2.543 -3.879 0.001 -0.002 -0.002 0.263
H 0.902 1.211 -3.405 0.002 0.001 0.002 0.251
H -0.851 0.969 -3.541 0.000 0.003 0.003 0.227
H 0.934 1.762 4.539 -0.002 0.001 0.001 0.224
H -0.634 3.408 6.014 0.002 0.004 -0.001 0.250
H -2.303 5.632 4.829 0.001 0.006 -0.006 0.240
H -3.086 5.128 3.323 -0.002 -0.005 -0.001 0.235
H -3.465 4.313 4.845 0.006 0.003 0.008 0.238
I 1.655 -3.366 -0.596 -0.020 -0.035 -0.017 0.423
C 2.148 -4.255 1.308 0.006 0.001 0.029 -0.711
I 2.135 -3.015 3.004 -0.005 0.000 -0.013 0.254
H 3.150 -4.638 1.151 -0.001 0.000 -0.004 0.253
H 1.432 -5.058 1.433 -0.002 0.001 -0.008 0.247
O -1.252 -1.233 -0.909 -0.029 -0.040 -0.023 -0.497
+++
After the long Hallowe’en break, we came back to school full of excitement from the fun we have had over the holidays. People went trick or treating, had fun with their friends and played spooky Hallowe’en games. We were all very tired as well!
To start of with, we started on a new topic in English. This topic was called report writing and this type of writing is very similar to recount writing, aside from some small differences. Report writing is when you are giving a factual-based report on a topic of your choice. Report writing is mostly based in the present tense, unlike recount writing, and has completely no facts based on your perspective. This type of writing is used in textbooks, newspapers and factual websites, i.e. Wikipedia or Google.
In Maths we are learning about 2D shapes and lines and angles. This also ties in with learning how to construct a triangle. 2D shapes in 6th class are much different to your average 2D shape in 5th class. Aside from that we also began to work on angles. We even did a whole section on drawing certain angle. 6th class all agreed that it was actually quite relaxing just drawing angles with our protractors.
Our Science Fair for Science week was a hit with the younger classes. Everyone in 5th and 6th class made a group project and demonstrated it to other children. There were rockets, s’mores, wormeries, cabbage dying, butter making, lava lamps and much, much more. Goggles on!
Every month, St. Patrick’s holds a “Friday Funday!” for the last Friday of the month. The idea of Friday Funday is to wear clothing based on the set theme and bring in €2 or more. Some themes we did last year were Jersey Day, Favourite Colour Day, Christmas Jumper Day, Silly Sock Day and Fun Hair Day. This year, our first Fun Friday took place on Friday the 26th of November, the last Friday of November and the Late, Late Toy Show! 6th class wore their pyjamas and cosy clothes into school for Cosy Day while watching a movie and eating sweets. We had so much fun and we raised €252.45 for our new charity My Companion.
### Misplaced calculated molecules
+++
DFT (ωB97M-V with the def2-TZVPD basis set) results for a cluster of 2 separate species, C5H7NO in total.

Properties
Lowest unoccupied orbital energy (spin up / spin down) ... 0.68 / 0.84 eV
Orbital gap (spin up / spin down) ... 8.647 / 8.461 eV
M ... 97.12 g/mol
Energy relative to the best compared isomer or geometry (same formula, charge and spin) ... 145.9 kcal per mole

Last column: natural (NBO) charge in e.
Atoms and positions in Å:
1 C 1.074 -0.396 2.526  0.69
2 C -0.409 0.657 -2.081  -0.51
3 C 0.462 0.981 -1.190  -0.11
4 C 0.551 -1.375 1.372  -0.54
5 C -0.408 -0.230 1.103  0.03
6 N 0.104 0.493 2.199  -0.63
7 O 2.040 -0.304 3.224  -0.56
8 H -0.221 1.088 -3.044  0.21
9 H -0.991 -0.110 -1.842  0.21
10 H 1.231 1.534 -0.749  0.19
11 H 1.254 -1.684 0.737  0.22
12 H 0.206 -2.400 1.778  0.22
13 H -1.371 -0.272 0.916  0.16
14 H -0.318 1.324 2.583  0.41

DFT (ωB97M-V with the def2-TZVPD basis set) results for a cluster of 4 separate species, C8H16Br8 in total.

Properties
Lowest unoccupied orbital energy ... 0.38 eV
Orbital gap ... 10.354 eV
SMILES string ... BrCCBr.BrCCBr.BrCCBr.BrCCBr
M ... 751.45 g/mol
Energy relative to the best compared isomer or geometry (same formula, charge and spin) ... 4.6 kcal per mole

Last column: natural (NBO) charge in e.
Atoms and positions in Å:
1 Br 1.204 -1.671 -9.309  0.00
2 C 0.578 -1.707 -7.483  -0.46
3 C 0.264 -0.337 -6.942  -0.45
4 Br -1.333 0.443 -7.699  0.00
5 H 1.372 -2.134 -6.868  0.23
6 H -0.267 -2.388 -7.449  0.23
7 H 1.086 0.348 -7.124  0.23
8 H 0.076 -0.407 -5.873  0.23
9 Br -0.940 1.973 2.728  0.00
10 C -2.864 1.812 2.692  -0.46
11 C -3.527 2.987 2.037  -0.44
12 Br -3.242 2.982 0.112  -0.03
13 H -3.189 1.754 3.729  0.23
14 H -3.111 0.895 2.167  0.23
15 H -3.153 3.948 2.372  0.23
16 H -4.606 2.931 2.167  0.23
17 Br -8.300 2.211 -0.277  -0.01
18 C -6.823 3.025 -1.216  -0.46
19 C -7.188 3.238 -2.660  -0.45
20 Br -5.800 4.319 -3.483  -0.01
21 H -5.970 2.371 -1.078  0.23
22 H -6.595 3.959 -0.710  0.23
23 H -8.129 3.766 -2.772  0.23
24 H -7.220 2.316 -3.231  0.23
25 Br -0.818 1.924 -4.165  -0.01
26 C -1.903 3.517 -4.151  -0.46
27 C -1.521 4.385 -2.978  -0.43
28 Br -2.521 6.055 -3.108  -0.02
29 H -2.952 3.242 -4.098  0.23
30 H -1.735 4.034 -5.091  0.23
31 H -0.477 4.674 -2.987  0.23
32 H -1.777 3.930 -2.027  0.23

DFT (ωB97M-V with the def2-TZVPD basis set) results for a cluster of 5 separate species, C25H55BrClN2O10 in total.

Properties
Lowest unoccupied orbital energy ... -4.19 eV
Orbital gap ... 6.706 eV
M ... 659.08 g/mol
Total charge ... +1
Energy relative to the best compared isomer or geometry (same formula, charge and spin) ... 174.1 kcal per mole

Last column: Mulliken charge in e.
Atoms and positions in Å:
1 C -4.512 -2.400 -4.115  -0.41
2 C -3.468 -1.579 -5.077  -0.45
3 O -2.227 -1.137 -4.424  -0.37
4 C -1.612 -2.192 -3.605  -0.50
5 C -1.898 -1.850 -2.016  0.47
6 O -0.685 -1.301 -1.390  -0.26
7 C -0.177 -2.213 -0.340  -0.44
8 C 1.474 -2.152 -0.329  0.18
9 N 2.482 -3.283 -0.235  -0.10
+++
In History, we learned about the Industrial Revolution and the affect that it had on people. Pollution increases and slave labour was very common, especially with children. As the rich moved out of the city, poor people moved into the tiny tenements with unsanitary conditions. We learned about Kitty Wilkinson, who lived in Liverpool and helped many in need. These were very harsh conditions and we learned to be very thankful for what we have now.
St. Patrick’s have also brought back…. school swimming! 6thclass have paired up with 4th class and we have been swimming in Meadowbrook Pool. The instructors there have been teaching us front crawl, back stroke, breast stroke, dolphin and diving. By the end of our term we will be able to swim in several different strokes and dive well!
The entry is interrupted by records of molecules
<A>
C5H3NO | the ωB97M-V functional and the def2-TZVPD basis

Each line ends with the Mulliken charge.
Cartesian coordinates (Å):
C: -0.296 -1.702 2.345  0.15
C: -0.094 -1.007 1.376  -0.45
C: 0.121 -0.179 0.237  0.21
C: 1.221 0.346 -0.378  -0.31
C: 0.647 1.101 -1.449  -0.27
N: -0.649 1.049 -1.467  -0.34
O: -0.999 0.208 -0.428  -0.14
H: -0.507 -2.319 3.213  0.40
H: 2.273 0.242 -0.131  0.36
H: 1.179 1.713 -2.176  0.40

Computed properties:
- E_LUMO: 0.52 eV
- 2S+1: 1
- Molecular weight: 93.1 g mol⁻¹
- SMILES: C#Cc1ccno1
- Frontier orbital gap: 10.09 eV
- Highest occupied orbital energy: -9.57 eV

---

<B>
C5H3NO | the ωB97M-V functional and the def2-TZVPD basis

Each line ends with the Mulliken charge.
Cartesian coordinates (Å):
C: -0.883 1.363 -1.226  -0.59
C: -0.442 0.369 -0.544  0.33
C: 0.087 -0.419 0.383  0.10
C: -0.658 -1.184 1.327  0.05
N: -1.224 -1.728 2.180  -0.41
C: 1.561 -0.455 0.271  0.05
O: 2.151 0.141 -0.601  -0.50
H: -0.977 1.539 -2.289  0.31
H: -1.675 1.515 -0.472  0.29
H: 2.060 -1.141 0.970  0.37

Computed properties:
- E_LUMO: -0.71 eV
- 2S+1: 1
- Molecular weight: 93.1 g mol⁻¹
- SMILES: C=C=C(C#N)C=O
- Frontier orbital gap: 9.02 eV
- Highest occupied orbital energy: -9.74 eV

---

<C>
C5H3NO | the ωB97M-V functional and the def2-TZVPD basis

Each line ends with the Mulliken charge.
Cartesian coordinates (Å):
C: 2.698 -0.549 -0.682  -0.25
C: 1.490 -0.948 -0.910  -0.17
C: 3.347 0.545 -0.173  0.27
C: -0.116 0.669 0.081  0.74
C: -0.674 0.907 -1.077  -0.90
N: 3.945 1.412 0.344  -0.37
O: 0.267 0.417 1.159  -0.34
H: 3.283 -1.241 -1.210  0.41
H: -0.536 0.273 -1.974  0.33
H: -0.870 1.923 -1.309  0.28

Computed properties:
- E_LUMO: -1.32 eV
- 2S+1: 1
- Molecular weight: 93.1 g mol⁻¹
- Frontier orbital gap: 8.39 eV
- Highest occupied orbital energy: -9.71 eV

---

<D>
C5H3NO | the ωB97M-V functional and the def2-TZVPD basis

Each line ends with the Mulliken charge.
Cartesian coordinates (Å):
N: 3.021 -1.116 0.382  -0.47
C: 1.979 -0.766 0.001  0.20
C: 0.740 -0.363 -0.535  -0.19
C: 0.079 0.890 -0.266  0.17
O: -0.964 1.161 -1.138  -0.32
C: -1.505 0.209 -0.260  -0.45
C: -0.515 -0.713 0.086  0.05
H: 0.258 1.616 0.528  0.35
H: -2.453 0.402 0.222  0.35
H: -0.641 -1.319 0.981  0.31

Computed properties:
- E_LUMO: 0.32 eV
- 2S+1: 1
- Molecular weight: 93.1 g mol⁻¹
- Frontier orbital gap: 8.57 eV
- Highest occupied orbital energy: -8.26 eV

---

Which of them is the most stable? Correct choice: <A>.

---

<A>
C5H3NO | the ωB97M-V functional and the def2-TZVPD basis

Each line ends with the Mulliken charge.
Cartesian coordinates (Å):
N: -1.870 -0.209 -2.108  -0.41
C: -1.008 -0.195 -1.337  0.06
C: -0.132 -0.014 -0.182  0.46
C: -0.435 -0.967 0.948  -0.06
O: 0.400 -1.198 1.787  -0.46
C: 1.330 0.425 -0.101  -0.32
C: 0.456 1.361 -0.053  -0.45
H: -1.379 -1.541 0.891  0.39
H: 2.254 -0.050 0.209  0.38
H: 0.152 2.393 -0.110  0.42

Computed properties:
- E_LUMO: 0.35 eV
- 2S+1: 1
- Molecular weight: 93.1 g mol⁻¹
- SMILES: N#CC1(C=O)C=C1
November has been a very exciting month for 6th class and we hope to have some Christmas fun for the next month!